-- Work order --
Count the lines underneath that contain the word "and" and give the number alone, please.
-- Entries --
<<<
Density functional theory data (the ωB97M-V functional and the def2-TZVPD basis) for a structure of composition C30H39MnN5O2 in a non-equilibrium geometry.

The calculation puts the energy relative to the best compared isomer or geometry (same formula, charge and spin) at 15.9 kcal per mole. Its gap between HOMO and LUMO (spin up / spin down) is 6.7 / 6.8 eV. The expectation value of S² is 8.758. As for the spin multiplicity: 6. Its total energy is -2741.77537 Ha. Its LUMO energy (spin up / spin down) is 0.37 / 0.24 eV.

Geometry (Å):
1 Mn 0.962 1.284 -0.120
2 O 2.821 1.452 0.476
3 N 3.377 2.627 0.335
4 N 2.474 3.534 0.166
5 O 1.184 3.221 0.014
6 C 2.815 4.920 0.055
7 C 4.135 5.336 0.187
8 C 4.423 6.688 0.078
9 C 3.421 7.620 -0.158
10 C 2.113 7.183 -0.287
11 C 1.798 5.831 -0.180
12 H 4.914 4.612 0.373
13 H 5.452 7.012 0.182
14 H 3.660 8.673 -0.238
15 H 1.316 7.895 -0.469
16 H 0.782 5.481 -0.276
17 N -1.101 1.506 -0.300
18 C -2.208 1.230 -0.156
19 N -3.389 0.764 0.113
20 C -3.602 -0.702 0.100
21 C -4.161 -1.162 1.461
22 C -4.199 -0.010 2.460
23 C -5.040 1.142 1.910
24 C -4.497 1.636 0.549
25 H -2.644 -1.168 -0.120
26 H -4.281 -0.934 -0.721
27 H -3.553 -1.981 1.847
28 H -5.173 -1.546 1.321
29 H -3.179 0.337 2.656
30 H -4.605 -0.352 3.412
31 H -5.063 1.971 2.618
32 H -6.070 0.800 1.782
33 H -4.114 2.650 0.610
34 H -5.264 1.620 -0.225
35 C -0.889 0.096 4.461
36 C -0.653 -0.867 3.322
37 C -0.997 -2.215 3.433
38 C -0.739 -3.074 2.373
39 C -1.079 -4.544 2.463
40 C -0.159 -2.595 1.201
41 C 0.188 -1.239 1.037
42 C -0.074 -0.411 2.152
43 N 0.718 -0.677 -0.104
44 C 1.069 -1.440 -1.296
45 C 2.175 -2.478 -1.044
46 C 2.561 -3.185 -2.350
47 C 1.325 -3.869 -2.952
48 C 0.247 -2.820 -3.262
49 C 0.802 -1.795 -4.255
50 C 2.026 -1.112 -3.640
51 C 3.108 -2.160 -3.351
52 C 1.635 -0.438 -2.318
53 C -0.151 -2.109 -1.965
54 H -1.339 -0.408 5.317
55 H -1.555 0.911 4.163
56 H 0.047 0.551 4.794
57 H -1.445 -2.590 4.348
58 H -1.525 -4.791 3.427
59 H -0.185 -5.161 2.339
60 H -1.784 -4.837 1.681
61 H 0.022 -3.305 0.408
62 H 0.212 0.631 2.137
63 H 1.855 -3.220 -0.311
64 H 3.036 -1.954 -0.616
65 H 3.326 -3.936 -2.138
66 H 0.933 -4.619 -2.256
67 H 1.604 -4.394 -3.872
68 H -0.630 -3.311 -3.692
69 H 0.035 -1.050 -4.493
70 H 1.081 -2.289 -5.191
71 H 2.412 -0.354 -4.325
72 H 3.999 -1.674 -2.941
73 H 3.401 -2.659 -4.280
74 H 0.879 0.335 -2.518
75 H 2.519 0.039 -1.881
76 H -0.616 -2.828 -1.289
77 H -0.896 -1.329 -2.168

Atom charges from the Löwdin analysis, given in e for atoms 1 to 2: Mn 0.8350; O -0.2264

***

Density functional theory data (the ωB97M-V functional and the def2-TZVPD basis) for a structure of composition C30H40BrIrN4O4S.

The calculation puts the energy relative to the best compared isomer or geometry (same formula, charge and spin) at 9.6 kcal per mole. Its gap between HOMO and LUMO (spin up / spin down) is 7.9 / 5.0 eV. The expectation value of S² is 0.766. As for the spin multiplicity: 2. Its total energy is -4763.45881 Ha. The charge is +1. Its LUMO energy (spin up / spin down) is -2.63 / -5.48 eV.

Geometry (Å):
1 Ir -0.009 0.148 0.249
2 C -2.675 -4.585 -1.163
3 N -1.616 -3.578 -1.206
4 C -0.558 -3.810 -2.188
5 C -1.661 -2.452 -0.510
6 O -0.724 -1.623 -0.612
7 C -2.851 -2.245 0.417
8 O -2.990 -0.895 0.718
9 C -3.135 -0.513 2.056
10 C -1.802 -0.351 2.775
11 O -0.728 -0.626 2.202
12 N -1.826 0.074 4.031
13 C -3.056 0.460 4.717
14 C -0.585 0.383 4.736
15 H -2.232 -5.552 -1.389
16 H -3.123 -4.653 -0.176
17 H -3.449 -4.374 -1.903
18 H -0.226 -4.844 -2.111
19 H -0.935 -3.629 -3.195
20 H 0.275 -3.147 -1.994
21 H -3.753 -2.578 -0.104
22 H -2.721 -2.879 1.301
23 H -3.647 0.452 2.050
24 H -3.762 -1.220 2.610
25 H -3.888 -0.182 4.442
26 H -2.896 0.357 5.788
27 H -3.314 1.498 4.500
28 H 0.263 0.144 4.103
29 H -0.566 1.444 4.985
30 H -0.533 -0.200 5.655
31 C 6.912 3.103 1.495
32 C 6.321 1.975 2.353
33 C 6.475 2.325 3.841
34 C 7.099 0.690 2.072
35 C 4.838 1.829 2.027
36 C 4.298 0.647 1.539
37 C 2.950 0.610 1.260
38 Br 2.171 -1.037 0.684
>>>
-- Here it is --
4